Wednesday, 26 October 2011


The Blogg, Well hello my chums. What have I been up to, well just started my 1/4 gigs this week. I was hosting for Breackneck Comedy at Snafu, throuhgly enjoyed it. The headliner was Joe Heenen, he was excellent from the moment he went on to the minute he came off. What else has been happening, i'm studying Shakespear, I know i'm suprised to. I seem to understand it, which is more the worrying. However it bloody tough to compremhend, just like i'm still trying to comprenhend how that ballbag Joe Pasquale still manages to get a auidence. The shakespearen  play that i'm studying is called King Lear, it's not to bad when you get to the crux of it, it's quite good, I would not recommend to read it , unless you have real time on your hands or you have done some kind of lecture on it, or your a boy or girl genuis, as to be honest I have had to read the first chapter 3 times, It wont be to everyones taste, as it is tricky. It reminds me of every time I pick up Lord of the Rings the book, I get one chapter in and think fuck this pish, I just cannot read that book, supposdley it's the best book in the world, but I cannot get into it at all, Well better do my gym work, till next time long live the laughs x

Monday, 24 October 2011

piers morgan

Well woke up this morning to see a smug photo of Piers Morgan, on my facebook, Yip Cunto, Cunty Cuntworth, Cuntslap face. It doe's not matter in what language or turn of phrase, you always arrive back at cunt. What I can't belive is that he still lives and breathes, after putting photos to print off our troops causing brutality to prisoners. That's right he published them, knowing that they were off a false nature. So at one point he's the most hated man in the UK, then around 2 years later. He becomes a judge on Britain Got Talent, or as I would like to call it Britian got Retards. He manages to become Mr Suave again, then soon after that. He doe's interviews for ITV, with celebrieties lives, from Beckham to Barrymore. Now he is off to America, to annoy Jesse Ventura and co. You know what I hope he is enjoying his little paradise, as he will soon meet his maker and there only one place he is going and it's full of brimstone and fire and he can bring all the other bastards with him, like Colonel Gadaffi Duck and Simon Cowell and Tulisla, and Dappy and Alex Salmond. People that make money by manipulating and screwing with other peoples lives for there own gain. I'm sure the devil will be rubbing his hands, when that cunt Piers arrives, as let's face it even god cant save you now Piers Morgan = Total Cunt

Thursday, 20 October 2011

Thursday 21st of October KIng Lear and Go Compere

Yesh kebab, with garlic sauce mate, hello again, just thought I would start the blog with something that's more meaty. So what has been happening since I last wrote on my blog, well I went to higher English, were doing King Lear, it's all incest, and murder and lies and deception. Sounds like a night out in Glasgow. However King Lear is pretty good, to be honest. Yes I'm not a lord or a scholar, me in fact I was a bit of a rouge, However I have always yearned for freedom of art expression, it burns like a fire. For example if I had a cup of tea and a biscuit , I would always swerve the custard cream for the viscount. Well joking aside, I have always had the arts in me, as believe it or not always wanted to go and see a Shakespeare play acted out live. Not sure if I would get bored or not, but never know till you try. I have a couple of gigs on the horizon, well 4 to be precise, 2 compere ones, but know what I'm doing now and not let the nerves get to me and be nice, as a compere you are the audiences friend, first and foremost. Babysitting tomorrow my two gruesome twosome , nephews, wonder what they will get up to, mischief no doubt and lots of it,,,,,,,, but hey ho these things you have to do for your loved ones,,,,, well better go, thanks for taking the time to read my blog big kiss x

Wednesday, 19 October 2011

**Calculated crystals, kept here for reference:**
-- begin --
No. 1
Compound: MnCu3Pd2
Source: the Alexandria database
Functional: GGA-PBE
Structure: optimized geometry

Lattice parameters (Å, degrees): 4.7146 4.7146 8.4229 101.08 101.08 111.56
Each line ends with the local moment (μB).
Fractional positions:
Mn (0.1231, 0.8769, 0.2500)  3.81
Mn (0.8769, 0.1231, 0.7500)  3.81
Cu (0.2131, 0.4642, 0.4282)  0.04
Cu (0.5358, 0.7869, 0.0718)  0.04
Cu (0.7869, 0.5358, 0.5718)  0.04
Cu (0.4642, 0.2131, 0.9282)  0.04
Cu (0.6293, 0.3707, 0.2500)  0.06
Cu (0.3707, 0.6293, 0.7500)  0.06
Pd (0.0520, 0.3001, 0.0957)  0.11
Pd (0.6999, 0.9480, 0.4043)  0.11
Pd (0.9480, 0.6999, 0.9043)  0.11
Pd (0.3001, 0.0520, 0.5957)  0.11

The polymorph energy (0 for the lowest one) is 0.0 meV/atom. The value obtained for the formation energy is -63 kJ/mol of formula units. The space group is C2/c.

No. 2
Compound: Ac3ZrS7
Source: the Alexandria database
Functional: GGA-PBE
Structure: optimized geometry

Lattice parameters (Å, degrees): 8.2758 8.2758 9.7420 90.00 90.00 110.17
Fractional positions:
Ac (0.4996, 0.4996, 0.5000)
Ac (0.5004, 0.5004, 0.0000)
Ac (0.5504, 0.9948, 0.2501)
Ac (0.4496, 0.0052, 0.7501)
Ac (0.9948, 0.5504, 0.7499)
Ac (0.0052, 0.4496, 0.2499)
Zr (0.0001, 0.0001, 0.5000)
Zr (0.9999, 0.9999, 0.0000)
S (0.6719, 0.9188, 0.5329)
S (0.3281, 0.0812, 0.0329)
S (0.9188, 0.6719, 0.4671)
S (0.0812, 0.3281, 0.9671)
S (0.0814, 0.3283, 0.5328)
S (0.9186, 0.6717, 0.0328)
S (0.3283, 0.0814, 0.4672)
S (0.6717, 0.9186, 0.9672)
S (0.3726, 0.6274, 0.2500)
S (0.6274, 0.3726, 0.7500)
S (0.6321, 0.3679, 0.2500)
S (0.3679, 0.6321, 0.7500)
S (0.9377, 0.0623, 0.2500)
S (0.0623, 0.9377, 0.7500)

The value obtained for the uncorrected formation energy is -19.97 eV/f.u. The space group is Cmcm.

No. 3
Compound: LiFe2Ir
Source: the Alexandria database
Functional: GGA-PBE
Structure: optimized geometry

Lattice parameters (Å, degrees): 3.6943 3.6846 3.6846 90.00 90.00 90.00
Each line ends with the local moment (μB).
Fractional positions:
Fe (0.0000, 0.0000, 0.0000)  2.66
Fe (0.0000, 0.5000, 0.5000)  2.66
Ir (0.5000, 0.5000, 0.0000)  0.47
Li (0.5000, 0.0000, 0.5000)  -0.06

The value obtained for the formation energy is 25 kJ/mol of formula units. The space group is P4/mmm.

No. 4
Compound: DyYZnCu
Source: the Alexandria database
Functional: GGA-PBE
Structure: optimized geometry

Lattice parameters (Å, degrees): 3.5202 3.5202 7.0701 90.00 90.00 90.00
Fractional positions:
Dy (0.5000, 0.5000, 0.1144)
Y (0.5000, 0.5000, 0.6011)
Zn (0.0000, 0.0000, 0.8595)
Cu (0.0000, 0.0000, 0.3529)

The polymorph energy (0 for the lowest one) is 0.0 meV/atom. The value obtained for the formation energy is -115 kJ/mol of formula units. The space group is P4mm.

No. 5
Compound: YHo2Er2Tm
Source: the Alexandria database
Functional: GGA-PBE
Structure: optimized geometry

Lattice parameters (Å, degrees): 3.4627 15.9890 6.9057 90.00 90.00 90.00
Fractional positions:
Y (0.5000, 0.5000, 0.0000)
Y (0.0000, 0.0000, 0.5000)
Ho (0.5000, 0.8432, 0.2491)
-- stop --
**The calculated crystals stop here:**

Thrusday 20th of October x

Another day another blogg, Did a music gig tonight, yes it was tough, they sort of listen but they don't care at the same time. So never done material tonight done some improv. Just went up with american accent and spoke pish, but it's another gig and more stage time. Oh on Tuesday did a gig as Agnes Campbell so she is starting to take off, so writing for 2 charchters which is fun, I basically dress up as a old woman and become Agnes Cambpell , whats great is you get away with murder, as people are scared to be offensive, as they see it as there grandma and it's great fun, best laughs come from improv but your definitely need some good written material behind it. I need to keep wiritng for her though, so trying to create a back story, not like a x- factor story, like my mum has been diagnosed with aids. Funny news story of the day has to come from Scottish news,  A man ran a marathon and came in 3rd, but it has been changed as the winner of the marathon, has had his title revoked as he caught a bus and was found out. Just as welll it was not a Sunday bus, as he would of come in last, in fact he would still be on the bus now, getting peeved off with the driver as he looks for traffic jam after traffic jam, anyway better go as im pooped x

Monday, 17 October 2011

Engery Companies, ?

Excuse me, how much is the energy rising, fucking rip off britian. The govement sit on there ass and continue to do nothing, as they will all be getting a back hander. They probably all have shares in these electric and gas companies. However the message is we should just shop around. How do you do that, were all contracted and say you pick the wrong one. I'm with SSE, Scottish Hydro Electric, there just as bad as N-Power, it's all a great con, maybe Robert Langdon will reprise his roll and find all about it in demons forever, the story of how we all got ripped off for the last 50 years from the electric and gas companies. I mean i'm pretty sure that Tomas Eddison created electricty his plan was to give electirc to the masses, not to charge a arm and a leg for the resource of light. I don't kow who invented gas, i'm thinking a german. Anyway we have to suffer as the fat cats make more money, well I hope these fat cats choke on there milk, be great if they got up to heaven and God, charged them for letting them through the gates and for anything they touched, It would be great if the almighty set up a paymnet plan for them, for monthly payments and sent through a estimated bill for what they were owe him for there time in divinty, and if they could not keep up the payments, straight to hell,,,,, what would a fat cat hell be like, back on earth, late payments, goverment intervention and each week a profit graph that shows a decreasing downward slope ,,, ye wanks

Thursday, 13 October 2011

13th of Ocotober ,,,,,,,,,,,, Charchter Comedy and Braveheart x

Another day , another blogg, Like Oily Muirs my heart skipped a beat tonight, as thought my payment never went through. That would of been a absoulte nightmare. I have a gig tomorrow and I am trying out charchter comedy for the second time. First time was a ned charchter and thought it was terrible, I think it was a good idea, however the material was not there at all, tomorrow I will be going as a BLANK, sorry folks don't want to ruin the suprise. What i'm going to do is myself and the material I had written for the Stand then the other cahrchter. I went to Asda tonight and the night team were on, I reckon the guys were called George or Frank and the women were called Mavis or Pam, not sure why the names spring to mind, but thats who they look like, probaly more chance of getting the job if you were a Mavis or a Frank. Nightime in Asda is weird just random stoners walking about with a 10 pack of Smiths squares, and a frijj, choclate obvsiouly drolling at the prospect of mixing the two together for a taste exploision. Also there are married couples, cant think why that would be exciting, fancy foreplay the night love , nah were going to Asda, see thats why i'm not married. Watched Bravehaeart last night , very good if your Scottish, I know Mel Gibson does not sound very scottish and that there are more inaccuarcies in this fiilm than can be seen in Gladitor, however push that to the side and you have a film that makes you love your country a little more. Maybe if the dictators of Africa and Libya had one about there country they would stop mudering there own people and starving them etc... and the world can be a more gentle and loving place ,,,,,,,, till the morn night people x

Wednesday, 12 October 2011

**Records of crystals, kept here for reference**
<<<
CaIn2MoF8 | PBE with a Hubbard U | optimized geometry

Unit cell a=5.483 b=6.966 c=5.668 alpha=90.00 beta=90.09 gamma=90.00
Fractional coordinates of all 12 atoms:
Ca  0.000  0.000  0.000
In  0.500  0.259  0.500
In  0.500  0.741  0.500
Mo  0.000  0.500  0.000
F  0.172  0.266  0.175
F  0.172  0.734  0.175
F  0.271  0.500  0.746
F  0.299  0.000  0.705
F  0.701  0.000  0.295
F  0.729  0.500  0.254
F  0.828  0.266  0.825
F  0.828  0.734  0.825

Summary:
Calculated total energy: -5.049 eV/atom
>>>
**So much for the records of crystals**

Well , be coming down the road, when you hear of the noise of the tartan armys boys, yadda yadda so and so forth. We tried and failed badly, hmmmm cause we went with no strikers to Czech, that makes as much sense as going into battle without the horses in the 14th centrury. Bloody daft, why would you not play strikers, goals wins games , and you need a striker, that's common sense. Ach well done now were out of the Football, Rugby and every other sport, no wait we have cycling, pointless bloody sport. Watching the cycling is as invigorating as watching the x-factor on red bull and vodka. I had a gig at the Stand Comedy Club and it went well, so got offered some other slots, which is nice as I work very hard at producing comedy. Nothing else much to report, not really checked the news, but presuming it's all doom and gloom, recession this, a 17 year high unemploymnet, (only just heard that just now, as the news just come on). Going to watch something tonight, not sure. I think it might be Braveheart, yes it's inacurrate, and lots of mistakes,,,,,,,,,,,,, but the message is clear, love honour and want more for your country xxx

Tuesday, 11 October 2011


Well hello, yeah last night was crazy had two comedy gigs, One at the Stand and one at the Beehive in Edinbrugh. The Stand was very good the Beehive I was more subdued, and fatigued. I met Daniel Sloss and Joe Heenen, who were both great laughs, The green room was good fun. I cant seem to stop wanting to take a leak, before I go on stage. Not sure if i'm drinking to much water or is just the nerves. What made the gig better this time round was the car journey, what a great laugh in the car with the comedians. I had a nightmare on the way home, I put a hour onto the journey as went to Livingston, see that's the thing with driving in Edinbrugh one worng turn and your in the brown stuff, sort of the same analogy as going down on your woman. Just got up and I am shattered, so not much else to write for now. So this blogg today will be quite short and sweet, like my lollipop lady x

_These data records were left in the page by mistake_
........
Entry 1:
Compound: U2TcSn
Source: the Alexandria database
Functional: GGA-PBE
Structure: relaxed

For the energy above the lowest structure with this stoichiometry, the calculation gives 0.39 eV/f.u. For the formation energy, the calculation gives 0.11 eV per atom.

The structure belongs to space group R-3m (No. 166, hexagonal axes); the cell edges are 3.0636, 3.0636 and 30.2992 Å and the angles 90.00°, 90.00° and 120.00°. Symmetry generates all atoms from U at (0.0000, 0.0000, 0.2409), Tc at (0.0000, 0.0000, 0.5000) and Sn at (0.0000, 0.0000, 0.0000).

***

Entry 2:
Compound: Dy3AsP2
Source: the Alexandria database
Functional: GGA-PBE
Structure: relaxed

For the formation energy, the calculation gives -1.58 eV per atom.

The structure belongs to space group I4/mmm (No. 139); the cell edges are 4.045, 4.045 and 17.157 Å and the angles 90.00°, 90.00° and 90.00°. Symmetry generates all atoms from Dy at (0.000, 0.000, 0.000), Dy at (0.000, 0.000, 0.331), As at (0.000, 0.000, 0.500) and P at (0.000, 0.000, 0.167).

***

Entry 3:
Compound: PaTcHg2O6
Source: the Alexandria database
Functional: GGA-PBE
Structure: relaxed

As for the uncorrected formation energy: -16.4 eV/f.u.

The structure belongs to space group Fm-3m (No. 225); the cell edges are 8.313, 8.313 and 8.313 Å and the angles 90.00°, 90.00° and 90.00°. Symmetry generates all atoms from Pa at (0.000, 0.000, 0.000), Tc at (0.000, 0.000, 0.500), Hg at (0.250, 0.250, 0.250) and O at (0.000, 0.000, 0.267).

***

no.,N(E_F) (states/eV/atom),calculated total energy (eV per formula unit)
1,1.92,-36.52
2,0.12,-38.77
3,0.43,-66.60

~~~~~

# 1
Computed, not measured: an optimized crystal structure of HoMgS2 at the PBE level of DFT.

Unit cell a=3.7166 b=3.7166 c=6.9270 alpha=74.44 beta=74.44 gamma=60.00
Last column: magnetic moment on the atom in μB.
Atoms (fractional coordinates):
Ho 0.4998 0.4998 0.5006  0.49
Mg 0.6684 0.6684 0.9948  0.01
S 0.0752 0.0752 0.7743  0.00
S 0.2566 0.2566 0.2303  0.00

Results
crystal system: trigonal
DOS(E_F): 1.07 states/eV/cell

# 2
Computed, not measured: an optimized crystal structure of HoMgS3 at the PBE level of DFT.

Unit cell a=7.0014 b=7.0014 c=7.0014 alpha=57.69 beta=57.69 gamma=57.69
Atoms (fractional coordinates):
Ho 0.3497 0.3497 0.3497
Ho 0.6503 0.6503 0.6503
Mg 0.1509 0.1509 0.1509
Mg 0.8491 0.8491 0.8491
S 0.9470 0.5617 0.2353
S 0.0530 0.4383 0.7647
S 0.5617 0.2353 0.9470
S 0.4383 0.7647 0.0530
S 0.2353 0.9470 0.5617
S 0.7647 0.0530 0.4383

Results
crystal system: trigonal
DOS(E_F): 10.64 states/eV/cell

# 3
Computed, not measured: an optimized crystal structure of Ho4MgS7 at the PBE level of DFT.

Unit cell a=6.5622 b=6.5622 c=11.4560 alpha=75.59 beta=75.59 gamma=33.57
Atoms (fractional coordinates):
Ho 0.6909 0.6909 0.2078
Ho 0.3043 0.3043 0.8044
Ho 0.9977 0.9977 0.0054
Ho 0.1147 0.1147 0.5683
Mg 0.8866 0.8866 0.4213
S 0.7443 0.7443 0.6411
S 0.2679 0.2679 0.3535
S 0.3371 0.3371 0.0520
S 0.6580 0.6580 0.9490
S 0.0358 0.0358 0.2222
S 0.9606 0.9606 0.7846
........

Sunday, 9 October 2011

Sunday 9th October, X-Factor

Right Ok, what the fuck is going on with x-factor, what the hells is going on. How can you take people lives and play with them. Tonight was worng in every sense of the word. Not so much about who got through. More the fact of the maniuplation of taking people and putting them through it. I think this will be the worst x-factor to date. I am so glad I decided to sky+, this. I tried to watch 16 singers that to be honest I could not be bothered to watch in the first place. However like most it's my guilty pleasure such as watching 40+ on televesion x, the last part is a joke. Anyway all you can hear is the same bloody comments , your going to be one to watch in the competition, your the best of the night, i'm going to take a chance on him. All they went on about was the bloody personality , looks and image. What about the singing, though. How did Jhonny go through, he can't sing, a bloody note. I'm not sure if I can watch 12 weeks of this, I feel joe public are going to feel the same. Also Tulisa is a total cunt, I mean a total cunt. Even during the judges house, she split up a boyband group and formed her supergroup, but what of the guys she dunted............. On another note I did a x-factor at Fraserbrugh , this gig is mental, however worth doing. There was one guy that did one joke and walked off, however it;s a bar enviornment. It's going to be tough and takes us out of the comfort zone, and into the cast of 300, as every time I go out there, i quote tonight we dine in hell, and its bloody hard but hell tastes so good

Saturday, 8 October 2011

Saturday 8th of October

Hello my bloggy chums and gals, not enough happening in the news, so i'm going to go on about my motivation for the gym. I cannot be bothered with it, it's so dull. Don't get me wrong, once im there and get into it, I feel good like James Brown good. It's just getting there, is the problem. I have to give myself a bloody 3 hour window to get there. I watched Man on Fire, no not the youtube clip of John Smeaton punching a burning terriost in the face, but the awful Man on Fire with Denzil Washington and director Tony Scott, who somehow likes to throw the film about like a caught fish, the camera angles swings from angle to angle , that you get to the point of feeling sea sick. What is the story about, you have to wait 30 minutes to see a girl swimming in competitions and wining, then a uncomfortable Denzil Washington getting aqquainted with her a little to much. Why is Christopher Walken there to make up the numbers. I had a bloody migrane by the end of this film so much that if a woman said to me, I cant have sex tonight I have a migrane, I would say yeah right what have you been doing that causes a migrane , and she replied tried to watch 40 mins of Man on Fire, I would say fair point, can I get you some aspirin

off to the brock to do a gig out there, Fraserbrugh, buzzing like a 14 year old child with a tin of lighter fluid. Speak the morn


Friday, 7 October 2011


Hello, after a resbite from my blogg, its back as my writing is getting lazy, Mind I do comedy so it's going to be random and a little dark , mix it with mental health and a angry man, that is up and down as much as Kerry Katona diet regime,..   So please take the time to read and understand that this is wrttien in around ten mins, but stick with it and im sure you will bere entertained

What a week it's been 10 years of the UK being figiting in Afgahnastan and so far we have removed one main taliban leader and a lot of lost lives for Mr George Bush, he created the war and then left goverment and we pick up the pieces. The founder of apple has died this week, Steve Jobbs shook me right to the core, speaking of apples do you think Micheal Jackson would still be alive today if he ate more apples, as a apple a day keeps the murdering doctor at bay. Also Wayne Rooneys father has been accused of match fixing, on a hearts and motherwell game, supposdley Steve Jennings got sent off on purpose and there was a lot of bets in the Liverpool area,  a lot of people can't belive that Wayne Ronneys dad is involved in illegal betting, I still cant get into my head why anyone in this world would watch Scottish Football, thats is as painful as watching the Alan Titchmarsh Show on ITV, I still belive this is a secret goverment incentive to get the unemployed back to work, as no one wants to watch this gash

Till the morn x